Empress and Pivot Energy: Partnership Proposal

Empress and Pivot Energy

Dear Pivot Energy Team,

We are thrilled to introduce Empress, a comprehensive business suite dedicated to simplifying and empowering business operations. Our mission is to provide efficient management, growth, and adaptation solutions that integrate seamlessly with existing tools and our values align remarkably with your Triple Bottom Line (3BL) approach. We believe there is a significant opportunity for collaboration our companies, with the potential to enhance our mutual growth and contribute to our #DiamondClub initiative.

Mutual Business Growth

Empress offers strong capabilities in robust data analytics, workflow design, and customizable experiences, which could be invaluable to your distributed energy platform and your broad commercial solar ecosystem. Our user-friendly suite could assist in further optimizing your operations, reducing stress, and allowing your team to focus even more on your mission of a cleaner approach to power generation.

By integrating Empress into your business model, we can help to streamline your service delivery, project management, and financial oversight, enhancing your efficiency and profitability. We foresee a collaboration that empowers both companies to grow and adapt in an increasingly digital and interconnected business environment.

For more information about Empress and our services, please visit our website: Empress

Calculated crystals that have nothing to do with the article:
~~~
An optimized crystal structure of Cd2SbSe. Source: Alexandria, functional PBE-GGA.

Results
ΔE_f (raw): -0.0018 eV/atom
Magnetization: 0.00 μB/cell
D(E_F): 4.108 states/eV per cell
Electronic total energy: -18.889 eV/cell

```
data_Cd2SbSe
_symmetry_space_group_name_H-M 'C m m m'
_symmetry_Int_Tables_number 65
_symmetry_space_group_name_Hall '-C 2 2'
_cell_length_a 4.231
_cell_length_b 6.076
_cell_length_c 7.993
_cell_angle_alpha 90.00
_cell_angle_beta 90.00
_cell_angle_gamma 90.00
loop_
_atom_site_label
_atom_site_fract_x
_atom_site_fract_y
_atom_site_fract_z
_atom_site_occupancy
Cd1 0.000 0.000 0.227 1
Sb1 0.000 0.500 0.500 1
Se1 0.000 0.500 0.000 1
```



An optimized crystal structure of CaMg2Pb. Source: Alexandria, functional PBE-GGA.

Results
E above lowest polymorph: 136 meV/atom
Magnetization: 0.00 μB/cell
D(E_F): 1.722 states/eV per cell
Electronic total energy: -9.317 eV/cell
Energy of formation: -10.1 kJ per mole of atoms

```
data_CaMg2Pb
_symmetry_space_group_name_H-M 'P 4/m m m'
_symmetry_Int_Tables_number 123
_symmetry_space_group_name_Hall '-P 4 2'
_cell_length_a 3.632
_cell_length_b 3.632
_cell_length_c 8.593
_cell_angle_alpha 90.00
_cell_angle_beta 90.00
_cell_angle_gamma 90.00
loop_
_atom_site_label
_atom_site_fract_x
_atom_site_fract_y
_atom_site_fract_z
_atom_site_occupancy
Ca1 0.000 0.000 0.000 1
Mg1 0.500 0.500 0.273 1
Pb1 0.000 0.000 0.500 1
```



An optimized crystal structure of NbHgS2. Source: Alexandria, functional PBE-GGA.

Results
ΔE_f (raw): 0.1457 eV/atom
Magnetization: 0.46 μB/cell
D(E_F): 2.869 states/eV per cell
Electronic total energy: -18.044 eV/cell

```
data_NbHgS2
_symmetry_space_group_name_H-M 'P 4/m m m'
_symmetry_Int_Tables_number 123
_symmetry_space_group_name_Hall '-P 4 2'
_cell_length_a 4.623
_cell_length_b 4.623
_cell_length_c 3.272
_cell_angle_alpha 90.00
_cell_angle_beta 90.00
_cell_angle_gamma 90.00
loop_
_atom_site_label
_atom_site_fract_x
_atom_site_fract_y
_atom_site_fract_z
_atom_site_occupancy
Nb1 0.000 0.000 0.000 1
Hg1 0.500 0.500 0.000 1
S1 0.000 0.500 0.500 1
```
~~~

#DiamondClub Initiative

Beyond mutual business growth, we are excited about the potential for Pivot Energy to contribute to our #DiamondClub initiative. This community-driven movement is dedicated to global change and achieving Sustainable Development Goals (SDGs), emphasizing innovation, inclusivity, and sustainability - values we see embodied in Pivot Energy.

As a solar energy company, your commitment to a decentralized, cleaner power generation aligns perfectly with our goals. Your involvement could bring invaluable expertise and perspective to our community, inspiring further innovation and progress towards sustainable energy solutions.

In return, Empress and the #DiamondClub community could provide a platform for Pivot Energy to showcase your leadership in sustainable energy, promoting your brand among like-minded companies and consumers.

### What comes next are materials data, not part of the piece
=====
# 1
Entry from Alexandria: a relaxed structure of La2Al6CoPd (PBE).

Summary:
Raw total energy: -4.875 eV/atom
Total magnetic moment: 0.000 μB per formula unit
ΔE_f: -0.414 eV per atom

Structure (CIF):
```
data_La2Al6CoPd
_cell_length_a 6.6375
_cell_length_b 6.6375
_cell_length_c 16.2424
_cell_angle_alpha 90.00
_cell_angle_beta 90.00
_cell_angle_gamma 120.00
_symmetry_space_group_name_H-M 'R -3 m'
_symmetry_Int_Tables_number 166
_symmetry_space_group_name_Hall '-R 3 2"'
loop_
_atom_site_label
_atom_site_type_symbol
_atom_site_fract_x
_atom_site_fract_y
_atom_site_fract_z
_atom_site_occupancy
La1 La 0.0000 0.0000 0.2500 1
Al1 Al 0.0120 0.5060 0.2470 1
Co1 Co 0.0000 0.0000 0.5000 1
Pd1 Pd 0.0000 0.0000 0.0000 1
```

=====

# 2
Entry from Alexandria: a relaxed structure of La2PmAl12Co3 (PBE).

Summary:
Raw total energy: -4.529 eV/atom
Total magnetic moment: 0.000 μB per formula unit
ΔE_f: -0.038 eV per atom

Structure (CIF):
```
data_La2PmAl12Co3
_cell_length_a 8.4613
_cell_length_b 8.4613
_cell_length_c 19.0572
_cell_angle_alpha 90.00
_cell_angle_beta 90.00
_cell_angle_gamma 120.00
_symmetry_space_group_name_H-M 'R -3 m'
_symmetry_Int_Tables_number 166
_symmetry_space_group_name_Hall '-R 3 2"'
loop_
_atom_site_label
_atom_site_type_symbol
_atom_site_fract_x
_atom_site_fract_y
_atom_site_fract_z
_atom_site_occupancy
La1 La 0.0000 0.0000 0.0838 1
Pm1 Pm 0.0000 0.0000 0.5000 1
Al1 Al 0.0859 0.5429 0.3198 1
Al2 Al 0.0931 0.5465 0.8847 1
Co1 Co 0.0000 0.5000 0.0000 1
```

=====

# 3
Entry from Alexandria: a relaxed structure of LaAlCo2Rh (PBE).

Summary:
Raw total energy: -5.896 eV/atom
Total magnetic moment: 3.702 μB per formula unit
ΔE_f: 0.150 eV per atom

Structure (CIF):
```
data_LaAlCo2Rh
_cell_length_a 4.745
_cell_length_b 4.745
_cell_length_c 4.526
_cell_angle_alpha 90.00
_cell_angle_beta 90.00
_cell_angle_gamma 90.00
_symmetry_space_group_name_H-M 'P 4/m m m'
_symmetry_Int_Tables_number 123
_symmetry_space_group_name_Hall '-P 4 2'
loop_
_atom_site_label
_atom_site_type_symbol
_atom_site_fract_x
_atom_site_fract_y
_atom_site_fract_z
_atom_site_occupancy
La1 La 0.000 0.000 0.000 1
Al1 Al 0.500 0.500 0.000 1
Co1 Co 0.000 0.500 0.500 1
Rh1 Rh 0.500 0.500 0.500 1
```

=====

# 4
Entry from Alexandria: a relaxed structure of La2Al6CoRu (PBE).

Summary:
Raw total energy: -5.349 eV/atom
Total magnetic moment: 0.000 μB per formula unit
ΔE_f: -0.480 eV per atom

Structure (CIF):
```
data_La2Al6CoRu
_cell_length_a 6.577
_cell_length_b 6.587
_cell_length_c 9.308
_cell_angle_alpha 90.00
_cell_angle_beta 90.00
_cell_angle_gamma 90.00
_symmetry_space_group_name_H-M 'I m m m'
_symmetry_Int_Tables_number 71
_symmetry_space_group_name_Hall '-I 2 2'
loop_
_atom_site_label
_atom_site_type_symbol
_atom_site_fract_x
_atom_site_fract_y
_atom_site_fract_z
_atom_site_occupancy
La1 La 0.000 0.000 0.250 1
Al1 Al 0.000 0.500 0.244 1
Al2 Al 0.244 0.256 0.000 1
Co1 Co 0.000 0.500 0.000 1
Ru1 Ru 0.000 0.500 0.500 1
```

=====

# 5
=====


In Empress, we believe we have found a potential partner whose commitment to people, planet, and profit mirrors our own. We are excited about the possibility of working together to achieve mutual business growth and contribute to a more sustainable and inclusive world.

Records of crystals, kept here for reference
- - -
Here is an optimized crystal structure of AcCe2Zn2Ge2 from Alexandria. Energies are from PBE.

Cell: 4.3674 4.3674 10.1284 Å, 77.55 77.55 60.00°
With the nearest neighbours (Å) after each atom.
Sites, in units of the cell vectors:
1 Ge 0.2580 0.2580 0.2259  3 Zn 2.53
2 Ge 0.7420 0.7420 0.7741  3 Zn 2.53
3 Zn 0.5866 0.5866 0.2402  3 Ge 2.53
4 Zn 0.4134 0.4134 0.7598  3 Ge 2.53
5 Ac 0.0000 0.0000 0.0000  6 Ge 3.36, 6 Zn 3.45
6 Ce 0.1436 0.1436 0.5692  3 Ce 2.86, 3 Zn 3.14
7 Ce 0.8564 0.8564 0.4308  3 Ce 2.86, 3 Zn 3.14

* formation energy from the elements: -0.418 eV/atom
* spin magnetization: 2.23 μB/f.u.

=====

(1)
A plane-wave DFT calculation with PBE-GGA was carried out for a geometry-optimized HfTiTc structure.

Space-group type = C2/m (12)
Formation enthalpy at 0 K = -0.286 eV per atom
Magnetic moment = 0.00 μB/atom
Offset from the most stable computed form = 0.073 eV per atom

Unit cell a=6.1109 b=4.4156 c=9.8300 alpha=90.00 beta=128.42 gamma=90.00
With the nearest neighbours (Å) after each atom.
Positions (direct):
Hf 0.7721 0.0000 0.1717  3 Tc 2.76-2.77, 3 Ti 2.86-2.99, 1 Hf 2.92
Hf 0.2279 0.0000 0.8283  3 Tc 2.76-2.77, 3 Ti 2.86-2.99, 1 Hf 2.92
Hf 0.7721 0.5000 0.6717  3 Tc 2.76-2.77, 3 Ti 2.86-2.99, 1 Hf 2.92
Hf 0.2279 0.5000 0.3283  3 Tc 2.76-2.77, 3 Ti 2.86-2.99, 1 Hf 2.92
Tc 0.2605 0.0000 0.5102  3 Ti 2.64-2.67, 3 Hf 2.76-2.77
Tc 0.7395 0.0000 0.4898  3 Ti 2.64-2.67, 3 Hf 2.76-2.77
Tc 0.2605 0.5000 0.0102  3 Ti 2.64-2.67, 3 Hf 2.76-2.77
Tc 0.7395 0.5000 0.9898  3 Ti 2.64-2.67, 3 Hf 2.76-2.77
Ti 0.7271 0.0000 0.8387  3 Tc 2.64-2.67, 1 Ti 2.83, 2 Hf 2.86
Ti 0.2729 0.0000 0.1613  3 Tc 2.64-2.67, 1 Ti 2.83, 2 Hf 2.86
Ti 0.7271 0.5000 0.3387  3 Tc 2.64-2.67, 1 Ti 2.83, 2 Hf 2.86
Ti 0.2729 0.5000 0.6613  3 Tc 2.64-2.67, 1 Ti 2.83, 2 Hf 2.86

(2)
A plane-wave DFT calculation with PBE-GGA was carried out for a geometry-optimized HfTiTc structure.

Space-group type = Cm (8)
Formation enthalpy at 0 K = -0.296 eV per atom
Magnetic moment = 0.00 μB/atom
Offset from the most stable computed form = 0.063 eV per atom

Unit cell a=5.6444 b=4.4908 c=9.9067 alpha=90.00 beta=123.44 gamma=90.00
With the nearest neighbours (Å) after each atom.
Positions (direct):
Hf 0.3228 0.0000 0.0235  4 Tc 2.75-2.85, 2 Hf 2.99, 2 Ti 3.03-3.06
Hf 0.3228 0.5000 0.5235  4 Tc 2.75-2.85, 2 Hf 2.99, 2 Ti 3.03-3.06
Hf 0.7015 0.0000 0.7272  3 Tc 2.71-2.75, 2 Ti 2.86-2.87, 2 Hf 2.99
Hf 0.7015 0.5000 0.2272  3 Tc 2.71-2.75, 2 Ti 2.86-2.87, 2 Hf 2.99
Tc 0.8443 0.0000 0.0408  4 Ti 2.68-2.74, 3 Hf 2.75-2.85, 1 Tc 2.82
Tc 0.8443 0.5000 0.5407  4 Ti 2.68-2.74, 3 Hf 2.75-2.85, 1 Tc 2.82
Tc 0.0119 0.0000 0.3661  3 Ti 2.67-2.91, 4 Hf 2.71-2.75, 1 Tc 2.82
Tc 0.0119 0.5000 0.8661  3 Ti 2.67-2.91, 4 Hf 2.71-2.75, 1 Tc 2.82
Ti 0.1454 0.0000 0.6703  3 Tc 2.67-2.68, 2 Hf 2.86-2.87
Ti 0.1454 0.5000 0.1703  3 Tc 2.67-2.68, 2 Hf 2.86-2.87
Ti 0.5399 0.0000 0.3794  4 Tc 2.74-2.91, 3 Ti 3.02-3.03, 2 Hf 3.03-3.04
Ti 0.5399 0.5000 0.8794  4 Tc 2.74-2.91, 3 Ti 3.02-3.03, 2 Hf 3.03-3.04
- - -

We look forward to exploring this opportunity further with you.


The Empress Team